Professional Portfolio – Week 06

It’s been painfully clear over the past couple of weeks that I need to start testing the physical side of my project. Although I’ve been spending quite a lot of time banging my head against the wall with Max/MSP/Jitter coding, it will all be for nothing if I’m not prepared for whatever the physical input may be.
The sprawling nature of my work has also led me to take stock of exactly how much time I have left this semester, and just what I’m capable of outputting over the remaining weeks. In short, I had my biannual freak out and have changed tack for this project. The biggest change comes in the form of moving away from architectural projection and using the surface of the interface as a projection area.
Whilst I’m a little disappointed that I’m no longer attempting some of the large-scale ideas I had for this project, I think that ultimately they would be my undoing this semester. Particularly as there are so many variables outside of my control at the end of year exhibition (primarily what tech equipment I’ll have access to and exactly where my installation will be setup), it seems prudent to keep as much of my work as contained and predictable as possible.
(The piece is interrupted by molecular data)
No. 1
Density functional theory data (wB97M-V/def2-TZVPD) for a cluster of 12 separate species, C33H57F18N9O21S6 in total at a distorted geometry.

Last column: Mulliken charge in e.
CARTESIAN COORDINATES (ANGSTROEM)
C1 12.4854 9.8858 -16.8968  -0.86
C2 13.2601 11.1182 -16.4922  0.49
O1 12.8492 11.9678 -15.8072  -0.33
N1 14.7783 11.0827 -16.7833  -0.12
H1 15.3268 10.9045 -15.9421  0.36
H2 14.9390 10.2994 -17.4134  0.39
C3 15.2629 12.3392 -17.4489  -0.87
H3 11.6822 9.7095 -16.1822  0.14
H4 12.9259 8.9696 -17.2801  0.37
H5 11.8931 10.3354 -17.7071  0.35
H6 14.7103 12.5540 -18.3594  0.35
H7 16.3049 12.2018 -17.7327  0.36
H8 15.1695 13.1099 -16.6871  0.37
C4 16.4253 3.9734 -20.0761  -0.97
C5 17.4402 3.4206 -19.0675  0.44
O2 18.5248 3.8785 -18.9825  -0.40
N2 17.0425 2.1011 -18.4262  -0.01
H9 16.3971 1.6405 -19.0686  0.40
H10 17.7706 1.3921 -18.3191  0.41
C6 16.4784 2.2461 -16.9857  -1.08
H11 16.5374 5.0499 -20.0142  0.31
H12 15.4441 3.5378 -19.8858  0.37
H13 16.7137 3.5421 -21.0367  0.35
H14 16.5070 1.2992 -16.4496  0.41
H15 15.4427 2.5470 -17.1373  0.35
H16 17.0099 3.0858 -16.5476  0.33
C7 21.8857 8.3369 -10.9815  -1.04
C8 21.7688 6.8700 -11.2672  0.57
O3 22.7516 6.2539 -11.5527  -0.43
N3 20.4757 6.3466 -11.8566  0.02
H17 19.8535 7.1288 -12.0434  0.39
H18 20.6356 5.7884 -12.6905  0.40
C9 19.7489 5.4473 -10.8868  -0.69
H19 22.3831 8.9241 -11.7541  0.33
H20 22.6735 8.4028 -10.2271  0.33
H21 20.9189 8.7241 -10.6634  0.40
H22 19.4379 4.5799 -11.4647  -0.10
H23 18.8594 5.8877 -10.4375  0.37
H24 20.3404 5.0085 -10.0854  0.38
C10 5.4687 11.7543 -16.5542  -1.27
C11 6.3521 11.8512 -15.3488  -0.18
N4 6.3933 10.5754 -14.6331  0.21
C12 5.2875 9.7719 -14.3221  -0.43
C13 5.8191 8.7212 -13.6436  -0.51
N5 7.1795 8.8852 -13.4824  0.17
C14 7.4967 10.0671 -14.0902  0.10
C15 8.0597 7.8968 -12.8304  -0.30
H25 5.6713 10.8200 -17.0825  0.37
H26 5.4700 12.5867 -17.2567  0.37
H27 4.3993 11.6889 -16.3346  0.33
H28 6.0445 12.6733 -14.7022  0.27
H29 7.4006 12.0187 -15.5971  0.28
H30 4.2786 10.1011 -14.4907  0.40
H31 5.3706 7.8532 -13.1835  0.53
H32 8.4799 10.4830 -14.2515  0.09
H33 7.7733 7.9005 -11.7834  0.34
H34 9.1012 8.1977 -12.9498  -0.24
H35 7.9944 7.0368 -13.4940  0.41
C16 22.1116 -0.2123 -14.0674  -1.06
C17 21.0560 -1.1890 -14.7087  -0.38
N6 19.7375 -0.8394 -14.1755  0.33
C18 19.1845 0.4215 -14.2511  -1.32
C19 18.0140 0.4036 -13.5391  -0.11
N7 17.8535 -0.8616 -13.0778  0.52
C20 18.8815 -1.6293 -13.4628  -0.27
C21 16.6881 -1.3964 -12.3800  -0.77
H36 23.1652 -0.4355 -14.2481  0.41
H37 21.9482 -0.1366 -12.9910  0.26
H38 22.1578 0.8170 -14.4359  0.33
H39 21.3195 -2.2356 -14.6057  0.40
H40 21.0603 -0.8860 -15.7557  0.22
H41 19.7178 1.2395 -14.7024  0.50
H42 17.3161 1.1687 -13.2364  0.59
H43 19.0921 -2.6759 -13.3259  0.39
H44 15.9685 -1.8607 -13.0528  0.36
H45 16.1926 -0.5176 -11.9683  0.18
H46 16.9628 -2.0922 -11.5921  0.36
C22 11.2733 6.0967 -11.8502  -0.77
C23 12.6334 6.5743 -11.2433  -0.62
N8 13.7471 6.2324 -12.1741  0.73
C24 14.2507 7.0277 -13.1753  -0.35

So I’m now on the hunt for a fairly multi-purpose material: it needs to convey the feeling of digging upon the table (like digging through sand or dirt), it needs to be reflective enough to be useful as a projection surface and it also needs to be translucent enough to give me varying degrees of depth, visible by the amount of light shining through. Surely that can’t be too large an ask?
As the images above show, my starting place has been silica gel. I shan’t go into the details of removing silica gel from their 1 gram packets, but suffice it to say, it’s for suckers.
My first impression has been that it’s probably too lightweight and slippery. That is, it likes to move around freely (mostly on my floor). Nevertheless, testing must be done…

I setup a small-scale version of what I imagine will be my final interface setup: infrared LED light above, infrared camera below (to be inside the table) and in this case, silica gel sandbox in between.
Because of the scale, it was impossible to frame the container of silica gel in the way it will be setup for the final work, but at least it gave me a chance to see how the gel works with motion tracking in Max/MSP/Jitter. The patch I’m using in these videos isn’t indicative of the type of tracking – nor output – I’m aiming for with this work. It’s simply some code-in-progress that I’ve used for testing the silica gel as a potential interface….
Download above Max/MSP/Jitter patch.
As I pointed out earlier, this video shows that the silica didn’t like staying put – it rushed to fill any gaps left by digging others out of the way. The video also shows the hot-point of light coming from the infrared LED, which I’d already noticed during Electronics. The next video shows the vast difference when using a larger container, plus a frosted piece of acrylic to diffuse the light…
This second video starts to give the kind of effect I’m after – areas where the silica gel has been clearly removed. However, I’m still not sold on silica gel being the solution I’m after. I think the next step is to look for a sand-like material, which has some degree of translucency. Something that holds its shape more predictably would be ideal.
Hey mate this is all looking great. Power through, you can do it.